What to do:
Repeat only the lines further down with the word "LUMO" in them.

Data:
........
No. 1
Formula: C26H23AlN7O6S2
Source: OMol25
Level of theory: wB97M-V/def2-TZVPD

Results
* LUMO: -2.8342 eV
* HOMO energy: -10.18 eV
* F_max: 0.66 eV/A
* energy relative to the best compared isomer or geometry (same formula, charge and spin): 0.0 kcal per mole

Geometry as ORCA input:
```
! RIJCOSX wB97M-V def2-TZVPD def2/J DEFGRID3
* xyz 1 1
Al -0.4621 -0.2148 0.1067
O -4.1373 3.8463 1.8813
C -2.9318 4.1261 2.3522
O -2.6888 5.1162 2.9841
C -1.8409 3.1373 2.0823
C -0.5447 3.2841 2.5477
N 0.1586 2.2223 2.1398
N -0.6000 1.3797 1.4314
C -1.8126 1.9290 1.3777
C -2.7772 1.1842 0.5147
O -3.9319 1.5144 0.3906
O -2.2024 0.1711 -0.0902
H -4.1678 3.0226 1.3442
H -0.1212 4.0897 3.1264
H 1.1583 2.0379 2.1601
N -1.9483 -1.1883 -2.8630
C -1.1797 -2.0608 -2.2002
N -0.6592 -1.8193 -1.0164
C 0.0783 -2.8976 -0.5458
C 0.1339 -3.9546 -1.3720
S -0.7747 -3.6262 -2.8063
C 0.5946 -2.7090 0.8059
C 1.3895 -3.4975 1.5420
S 1.5721 -2.8436 3.1280
C 0.5631 -1.5127 2.7039
N 0.1418 -1.5423 1.4512
N 0.2426 -0.5658 3.5985
H -2.2454 -0.3501 -2.3872
H -2.4172 -1.4518 -3.7108
H 0.6208 -4.9039 -1.2236
H 1.8593 -4.4275 1.2677
H 0.5190 -0.6750 4.5588
H -0.5244 0.0541 3.4025
C 5.8182 -1.0835 -0.8031
C 4.5585 -1.0732 -1.6296
C 3.9419 -2.2754 -1.9511
C 2.8134 -2.2995 -2.7563
C 2.2528 -1.1111 -3.1816
C 2.8405 0.1053 -2.8452
N 2.1969 1.2845 -3.3170
C 2.0830 2.4731 -2.6190
C 2.0931 3.6851 -3.3194
C 2.1055 4.8937 -2.6546
C 2.1562 4.9365 -1.2631
C 2.1194 3.7487 -0.5635
C 2.0206 2.5154 -1.2172
C 1.6817 1.3568 -0.3588
O 2.1001 1.2313 0.7857
O 0.7934 0.5092 -0.8534
C 4.0348 0.1383 -2.1122
C 4.8070 1.4087 -1.8651
H 6.0156 -2.0829 -0.4186
H 5.7485 -0.3966 0.0424
H 6.6830 -0.7801 -1.3972
H 4.3725 -3.2021 -1.5897
H 2.3736 -3.2448 -3.0473
H 1.3584 -1.1031 -3.7950
H 2.0834 1.3529 -4.3148
H 2.1315 3.6602 -4.4031
H 2.1121 5.8141 -3.2246
H 2.2104 5.8824 -0.7422
H 2.1440 3.7505 0.5190
H 4.5475 2.1917 -2.5726
H 5.8753 1.2177 -1.9608
H 4.6355 1.7999 -0.8583
*
```

No. 2
Formula: C26H23AsBrFeNO10S2
Source: OMol25
Level of theory: wB97M-V/def2-TZVPD

Results
* LUMO (spin up / spin down): 4.4934 / 4.4835 eV
* HOMO energy (spin up / spin down): -2.62 / -2.67 eV
* ⟨S²⟩: 6.0097
* F_max: 1.58 eV/A
* energy relative to the best compared isomer or geometry (same formula, charge and spin): 7.2 kcal per mole

Geometry as ORCA input:
```
! RIJCOSX wB97M-V def2-TZVPD def2/J DEFGRID3
* xyz -2 5
Fe 1.0930 -0.1746 0.2494
Br 3.7648 -0.4461 0.5418
C 3.7175 -2.3102 0.1232
C 4.8054 -3.0536 0.4592
C 4.7922 -4.4391 0.1913
C 3.7051 -5.0088 -0.4049
C 2.5743 -4.2322 -0.7640
C 1.4507 -4.8207 -1.3876
C 0.3533 -4.0604 -1.6589
C 0.3274 -2.6858 -1.3261
C 1.4020 -2.0202 -0.7767
C 2.5424 -2.8318 -0.4825
H 5.6635 -2.5870 0.9265
H 5.6464 -5.0439 0.4768
H 3.6806 -6.0782 -0.6001
H 1.4700 -5.8822 -1.6149
H -0.5169 -4.5153 -2.1252
H -0.5957 -2.1504 -1.4892
O 2.9339 2.4140 -1.7071
As 1.1255 2.5236 -1.3511
O 0.8336 4.1082 -1.6525
O 1.1320 1.9142 0.2185
C 0.7404 1.1745 -2.7132
C 1.6810 0.8994 -3.7001
C 1.4029 -0.0504 -4.6719
C 0.1819 -0.7152 -4.6862
C -0.7602 -0.4565 -3.7053
C -0.4685 0.4662 -2.7128
S -1.6065 0.7660 -1.3772
O -2.9213 0.3605 -1.8217
O -1.4242 2.1970 -1.1798
O -1.1085 -0.0260 -0.2287
H 3.3226 2.9801 -1.0292
H 2.6195 1.4354 -3.6902
H 2.1501 -0.2803 -5.4230
H -0.0302 -1.4480 -5.4573
H -1.7212 -0.9579 -3.6906
C -2.8062 5.3292 -0.7014
C -2.6971 4.3958 0.4769
C -3.7550 3.5681 0.8470
C -3.6047 2.6364 1.8585
C -2.3868 2.5615 2.5256
C -1.3225 3.3837 2.1869
C -1.4873 4.2970 1.1596
S -2.1780 1.3640 3.7875
O -3.3382 1.3602 4.6548
O -0.9074 1.5952 4.4317
N -2.2444 -0.0108 2.8891
C -2.0134 -1.2939 3.6003
C -0.5581 -1.6688 3.9407
C 0.2560 -2.0208 2.6893
O 0.2931 -3.2069 2.3378
O 0.8156 -1.0291 2.0904
H -3.8207 5.3466 -1.1043
H -2.1198 4.9748 -1.4803
H -2.5115 6.3443 -0.4259
H -4.6846 3.6070 0.2896
H -4.4039 1.9558 2.1308
H -0.3761 3.2647 2.6995
H -0.6467 4.8974 0.8299
H -1.7485 0.0812 1.9985
H -2.4317 -2.0780 2.9727
H -2.6053 -1.2342 4.5136
H -0.5789 -2.5492 4.5829
H -0.0969 -0.8354 4.4595
*
```
........

Response:
* LUMO: -2.8342 eV
* LUMO (spin up / spin down): 4.4934 / 4.4835 eV